As early autumn rolls into mid-November and the year's end is looming, employers should seize the opportunity to promote a valuable resource for their employee population.
An employee health and wellbeing program can be a great tool that offers assistance at a very demanding time. As daylight dwindles, it’s tough to squeeze in outdoor activity, stress multiplies with each holiday task, and finally, we enter “the Eating Season”—the 6-8 weeks between Thanksgiving and New Year’s Day, where the average American gains between 1-7 pounds.
The sum of each of these factors is a population eating less healthy foods, getting less activity, and coping with emotional and financial stressors. What can you do as an employer?
Use your employee wellness program as the perfect vehicle to manage stress and provide healthy solutions that will help your population (and your company) ring in a truly happy and healthier New Year.
Getting Started:
Form A Holiday Home Stretch Committee
This can be made up of your existing Wellness Committee or a few employees from your HR team–anyone who embodies a “wellness champion” and would like to promote healthier holidays. Develop a few simple initiatives (remember, we don’t want to add stress by having too many initiatives) that tackle one or two topics or stressors. The possibilities are endless!
Four Initiatives and Challenges to Try:
Healthy Traditions Competition
Promote diversity and encourage employees to have a potluck recipe exchange, where family holiday favorites are made healthier by swapping out ingredients. This is a great opportunity for employees to share religious or ethnic specialties which promotes understanding and appreciation of other cultures. Departmental challenges work well here!
Fitness Events
It can be tough to get outdoors once daylight fades, so encouraging active stress breaks during the day is important. Employees who sit all day can develop cardiovascular risk factors similar to that of tobacco users, according to recent research. The following are three ideas to help combat this issue:
- Go Indoors: Paint a walking path line (marked by seasonal icons like snowflakes) through warehouses or up staircases. Promote with posters and flyers or on your company intranet and newsletter. Challenge participants to check off 10 minute intervals on a log sheet to be submitted for a holiday raffle. Encourage walking meetings through the holidays.
- Encourage the “Return of “Recess”: Remind employees that they can walk to restaurants for lunch or walk10 minutes around the parking lot before sitting down to lunch. Try a “Countdown to Fitness”- encourage step counts of greater than 10,000 steps per day for a period of time leading up to the New Year. Hold a “Turkey Trot” at your location to promote unity and comradery. Teams can also be formed with a canned good as the entry “fee” for donations to a local charity.
- Offer a Holiday Flex Schedule: This allows for increased time to exercise at lunch or flexible shifts of workers so that employees can sneak in fitness breaks.
Nutritional Knowledge is Power
Data records that have nothing to do with the entry
........
Entry i
The following is a DFT calculation (PBE+U) of a geometry-optimized LiNiBO3 structure.

Magnetization, μB/cell: 0.0

Cell and atoms, written as POSCAR:
```
LiNiBO3
1.0
0.0000 0.0002 6.1239
4.0381 6.9939 0.0002
-4.0385 6.9939 0.0002
Li Ni B O
6 6 6 18
Direct
0.2501 0.2745 0.7009
0.7499 0.2745 0.7009
0.2501 0.0248 0.2745
0.7500 0.0248 0.2745
0.2502 0.7006 0.0249
0.7499 0.7007 0.0249
0.9999 0.6349 0.3806
0.5001 0.6351 0.3809
0.4998 0.9843 0.6349
0.9999 0.3807 0.9846
0.5000 0.3806 0.9844
0.0001 0.9846 0.6347
0.2506 0.3334 0.3333
0.7494 0.3333 0.3333
0.0000 0.0000 0.0000
0.5000 0.0000 0.0000
0.2499 0.6667 0.6667
0.7501 0.6667 0.6667
0.0000 0.1014 0.8015
0.5000 0.1014 0.8015
0.0000 0.0971 0.1014
0.5000 0.0971 0.1014
0.0000 0.8014 0.0972
0.5000 0.8015 0.0972
0.2502 0.1363 0.4488
0.7498 0.1363 0.4489
0.2509 0.4493 0.4143
0.7491 0.4493 0.4143
0.2509 0.4143 0.1363
0.7492 0.4144 0.1363
0.2500 0.4682 0.7805
0.7501 0.4682 0.7804
0.2500 0.7804 0.7514
0.7500 0.7804 0.7514
0.2499 0.7514 0.4683
0.7500 0.7514 0.4683
```



Entry ii
The following is a DFT calculation (PBE+U) of a geometry-optimized LiNiBO3 structure.

Magnetization, μB/cell: 18.0

Cell and atoms, written as POSCAR:
```
LiNiBO3
1.0
-0.8165 1.8628 -2.3729
-11.8298 3.6532 6.7121
-0.0401 11.1514 8.6058
Li Ni B O
9 9 9 27
Direct
0.4940 0.0983 0.1263
0.5125 0.1078 0.4355
0.4468 0.4557 0.1083
0.4796 0.1282 0.7724
0.5463 0.4357 0.4558
0.4944 0.4414 0.7536
0.5210 0.7736 0.0983
0.5238 0.8046 0.4423
0.4893 0.7526 0.8056
0.9396 0.2502 0.2016
0.9995 0.2002 0.5483
0.0038 0.2129 0.9044
0.0492 0.5479 0.2504
0.0461 0.5812 0.5373
0.9516 0.5360 0.8826
0.0324 0.8815 0.2133
0.0037 0.8823 0.5805
0.9682 0.9046 0.8822
0.9883 0.0046 0.3356
0.0008 0.3331 0.3332
0.9982 0.3356 0.6590
0.0046 0.6586 0.0053
0.4651 0.3309 0.9924
0.5460 0.6756 0.3319
0.0124 0.6658 0.6675
0.9938 0.9997 0.0000
0.4853 0.9915 0.6765
0.9916 0.0294 0.0802
0.0216 0.0083 0.4321
0.8954 0.0994 0.2371
0.4381 0.3160 0.0966
0.5008 0.0954 0.5868
0.0036 0.2206 0.3969
0.9374 0.3816 0.2219
0.9550 0.0793 0.8907
0.9633 0.5588 0.0089
0.9221 0.2361 0.6629
0.0615 0.3966 0.3810
0.1099 0.6621 0.0997
0.0316 0.3375 0.7561
0.0364 0.4320 0.5593
0.5030 0.2414 0.9773
0.5477 0.5859 0.3172
0.5486 0.6607 0.4366
0.4548 0.4357 0.9027
0.0356 0.8904 0.0293
0.5376 0.7801 0.2419
0.9462 0.5615 0.6841
0.0445 0.6822 0.7561
0.0454 0.7536 0.5617
0.0396 0.9054 0.3380
0.9474 0.7557 0.9072
0.4941 0.9014 0.6617
0.4652 0.9774 0.7808
```



Which of them is the most stable? Correct choice: entry i.



Entry i
The following is a DFT calculation (PBE+U) of a geometry-optimized Li2MnP4O12 structure.

Magnetization, μB/cell: 5.0

Cell and atoms, written as POSCAR:
```
Li2MnP4O12
1.0
-5.0007 0.0000 0.0000
2.1968 6.7656 0.0000
-0.8181 -2.9290 -6.8928
Li Mn P O
2 1 4 12
Direct
0.9650 0.2597 0.4499
0.0350 0.7403 0.5501
0.0000 0.0000 0.0000
0.5632 0.1944 0.7886
0.4346 0.6006 0.7822
0.4368 0.8056 0.2114
0.5654 0.3994 0.2178
0.7245 0.7516 0.7826
0.7857 0.1436 0.6469
0.7063 0.2987 0.0068
........
Holiday meals and snacks are delicious reminders of traditions and are meant to be enjoyed, but many can come with a high nutritional cost and sabotage the best intentions. When these foods make their way to the office, in addition to gatherings and parties, employees can struggle to resist! All of the unhealthy food and drink can leave your employees lethargic and unproductive. They may also feel discouraged for letting their healthy habits go by the wayside. Setting company guidelines early will help your employees navigate the season joyfully and mindfully.
=====
Entry i
Density functional theory data (PBE) for crystalline USeS at its relaxed geometry.

Calculated values
mass density	8.44	g/cm³
symmetry	Pnma, No. 62

abc: 3.7582 7.1604 10.2039
angles: 90.00 90.00 90.00
Last column: nearest neighbours and their distance in Å.
Sites, in units of the cell vectors:
U1 0.7500 0.1740 0.6687  4 S 2.71-2.81, 3 Se 2.87-2.95
U2 0.2500 0.3260 0.1687  4 S 2.71-2.81, 3 Se 2.87-2.95
U3 0.2500 0.8260 0.3313  4 S 2.71-2.81, 3 Se 2.87-2.95
U4 0.7500 0.6740 0.8313  4 S 2.71-2.81, 3 Se 2.87-2.95
Se1 0.7500 0.8020 0.5438  4 U 2.87-3.07, 1 S 3.22
Se2 0.7500 0.3020 0.9562  4 U 2.87-3.07, 1 S 3.22
Se3 0.2500 0.6980 0.0438  4 U 2.87-3.07, 1 S 3.22
Se4 0.2500 0.1980 0.4562  4 U 2.87-3.07, 1 S 3.22
S1 0.2500 0.4593 0.7127  4 U 2.71-2.81
S2 0.7500 0.0407 0.2127  4 U 2.71-2.81
S3 0.7500 0.5407 0.2873  4 U 2.71-2.81
S4 0.2500 0.9593 0.7873  4 U 2.71-2.81

Entry ii
Density functional theory data (PBE) for crystalline USeS at its relaxed geometry.

Calculated values
mass density	8.96	g/cm³
symmetry	Pnma, No. 62

abc: 4.0795 7.3169 8.6677
angles: 90.00 90.00 90.00
Last column: nearest neighbours and their distance in Å.
Sites, in units of the cell vectors:
U1 0.2500 0.7266 0.6269  4 S 2.73-2.79, 2 Se 3.03
U2 0.7500 0.7734 0.1269  4 S 2.73-2.79, 2 Se 3.03
U3 0.7500 0.2734 0.3731  4 S 2.73-2.79, 2 Se 3.03
U4 0.2500 0.2266 0.8731  4 S 2.73-2.79, 2 Se 3.03
Se1 0.7500 0.5296 0.8359  5 U 3.03-3.09, 4 S 3.24-3.33
Se2 0.2500 0.4704 0.1641  5 U 3.03-3.09, 4 S 3.24-3.33
Se3 0.2500 0.9704 0.3359  5 U 3.03-3.09, 4 S 3.24-3.33
Se4 0.7500 0.0296 0.6641  5 U 3.03-3.09, 4 S 3.24-3.33
S1 0.7500 0.6454 0.4296  4 U 2.73-2.79
S2 0.2500 0.3546 0.5704  4 U 2.73-2.79
S3 0.7500 0.1454 0.0704  4 U 2.73-2.79
S4 0.2500 0.8546 0.9296  4 U 2.73-2.79

Ranking the structures above by energy, entry ii is first and the second is 34 meV/atom behind.
=====
- Create a Holiday Cheat Sheet: This is an informational flier to arm employees with knowledge to make smarter choices. The flier encourages employees to try smaller “sample” portions, and educates them about the nutritional content of some popular dishes.
== These records of crystals were left in the page by mistake ==
(1)
A geometry-optimized K7Fe4Te8 structure, computed with PBE.

Output
Crystal system: tetragonal
Total magnetic moment: 22.00 μB/cell
VASP energy: -4.1427 eV/atom
Formation enthalpy at 0 K: -0.805 eV per atom

Cell: 12.233 12.233 8.698 Å, 90.00 90.00 90.00°
Atoms (fractional coordinates):
K1 0.008 0.508 0.250
K2 0.008 0.992 0.250
K3 0.250 0.250 0.208
K4 0.250 0.250 0.708
K5 0.250 0.750 0.250
K6 0.492 0.508 0.250
K7 0.492 0.992 0.250
K8 0.508 0.008 0.750
K9 0.508 0.492 0.750
K10 0.750 0.250 0.750
K11 0.750 0.750 0.292
K12 0.750 0.750 0.792
K13 0.992 0.008 0.750
K14 0.992 0.492 0.750
Fe1 0.145 0.750 0.856
Fe2 0.250 0.645 0.644
Fe3 0.250 0.855 0.644
Fe4 0.355 0.750 0.856
Fe5 0.645 0.250 0.144
Fe6 0.750 0.145 0.356
Fe7 0.750 0.355 0.356
Fe8 0.855 0.250 0.144
Te1 0.023 0.250 0.964
Te2 0.069 0.750 0.575
Te3 0.250 0.023 0.464
Te4 0.250 0.477 0.464
Te5 0.250 0.569 0.925
Te6 0.250 0.931 0.925
Te7 0.431 0.750 0.575
Te8 0.477 0.250 0.964
Te9 0.523 0.750 0.036
Te10 0.569 0.250 0.425
Te11 0.750 0.069 0.075
Te12 0.750 0.431 0.075
Te13 0.750 0.523 0.536
Te14 0.750 0.977 0.536
Te15 0.931 0.250 0.425
Te16 0.977 0.750 0.036

***

(2)
A geometry-optimized Mg6SiSnO8 structure, computed with PBE.

Output
Crystal system: tetragonal
Total magnetic moment: 0.00 μB/cell
VASP energy: -5.6815 eV/atom
Formation enthalpy at 0 K: -2.361 eV per atom
E above lowest polymorph: 0.003 eV/atom

Cell: 4.513 4.513 8.814 Å, 90.00 90.00 90.00°
Atoms (fractional coordinates):
Mg1 0.000 0.000 0.000
Mg2 0.000 0.000 0.500
Mg3 0.000 0.500 0.241
Mg4 0.000 0.500 0.759
Mg5 0.500 0.000 0.241
Mg6 0.500 0.000 0.759
Si1 0.500 0.500 0.000
Sn1 0.500 0.500 0.500
O1 0.000 0.000 0.248
O2 0.000 0.000 0.752
O3 0.000 0.500 0.000
O4 0.000 0.500 0.500
O5 0.500 0.000 0.000
O6 0.500 0.000 0.500
O7 0.500 0.500 0.226
O8 0.500 0.500 0.774

***

(3)
A geometry-optimized ScGaCu structure, computed with PBE.

Output
Crystal system: monoclinic
VASP energy: -4.9650 eV/atom
Formation enthalpy at 0 K: -0.478 eV per atom

Cell: 9.779 4.236 6.514 Å, 90.00 131.08 90.00°
Atoms (fractional coordinates):
Sc1 0.027 0.000 0.282
Sc2 0.473 0.500 0.718
Sc3 0.527 0.500 0.282
Sc4 0.973 0.000 0.718
Ga1 0.169 0.500 0.131
Ga2 0.331 0.000 0.869
Ga3 0.669 0.000 0.131
Ga4 0.831 0.500 0.869
Cu1 0.166 0.500 0.701
Cu2 0.334 0.000 0.299
Cu3 0.666 0.000 0.701
Cu4 0.834 0.500 0.299

***

(4)
A geometry-optimized Ca5P3O12F structure, computed with PBE.

Output
Crystal system: hexagonal
Total magnetic moment: 0.00 μB/cell
VASP energy: -7.1752 eV/atom
Formation enthalpy at 0 K: -3.420 eV per atom

Cell: 9.475 9.475 6.940 Å, 90.00 90.00 120.00°
Atoms (fractional coordinates):
Ca1 0.004 0.757 0.000
Ca2 0.243 0.248 0.000
Ca3 0.248 0.004 0.500
Ca4 0.333 0.667 0.249
Ca5 0.333 0.667 0.750
Ca6 0.667 0.333 0.250
Ca7 0.667 0.333 0.749
Ca8 0.752 0.996 0.000
Ca9 0.757 0.752 0.500
Ca10 0.996 0.243 0.500
P1 0.028 0.631 0.500
P2 0.369 0.398 0.500
P3 0.398 0.028 0.000
P4 0.602 0.972 0.500
P5 0.631 0.602 0.000
P6 0.972 0.369 0.000
O1 0.083 0.743 0.320
== Back to the page ==
- Encourage vendors to donate healthy, nutritious food to a food bank or charity on your behalf instead of holiday “treat trays”: Ask employees to refrain from bringing in “extras” (usually the leftovers that no one wants at home) that will derail their healthy eating efforts.
The Joy Brigade
Sharing simple concepts such as “Give Back”, “Feel Joy”, or “Mindful Moments” in company communications and postings can remind employees of the goodness of this season. Research tells us that by sharing good news, participating in charity events, and “paying it forward”,individuals report feeling less stress, less depression and fewer negative feelings toward others. Here are some ways of sharing positive news:
- Join Forces: Create a Joy Brigade, a group of volunteers who donate a few hours of time during the holidays to a local charity.
- Encourage use of the Employee Assistance Program (EAP) or local mental health agency during the holidays: This time of year can be especially tough for employees who are alone or suffering from mental illness. Promote and encourage resources that are available to those in need.
As employers, we can seize the holiday season as an opportunity to impact employee health behaviors that may last long after New Year’s Day! For additional programming and resource ideas, check out, or or contact your OneDigital Health and Benefits representative.